Please repeat only the last part of the rows below, starting with the line that has "-0.54 0.071".
174
Properties=species:S:1:pos:R:3:lowdin_charge:R:1 method="wB97M-V/def2-TZVPD" gap_ev=7.15 charge=+1 e_tot_ha=-4113.9782 homo_ev=-10.4
I 1.25 4.45 -1.56 1.017
S 0.88 0.11 3.83 0.957
O 3.08 -2.92 2.30 -0.039
O 4.28 -2.41 -1.41 0.139
O 0.51 -5.97 1.13 -0.043
O 3.33 -3.31 -3.25 0.054
O 3.26 -1.02 1.06 0.117
N 0.05 -0.75 -0.54 0.071
C -0.67 2.81 2.26 -0.137
C -0.22 -1.04 -1.95 -0.082
C 2.52 -6.48 -7.26 -0.098
C -3.86 3.36 7.47 -0.093
C -0.01 -3.23 -0.10 -0.086
C 2.82 -5.51 -6.32 -0.101
C 3.67 -1.72 1.96 -0.440
C 3.43 -2.34 -2.26 -0.479
C 1.29 -4.04 -0.19 -0.139
C 2.38 -1.24 -2.34 -0.075
C -5.47 3.14 0.39 -0.107
C 0.58 -0.26 2.12 -0.415
C -7.20 -7.26 3.78 -0.105
C 1.61 1.87 -3.06 -0.154
C -10.88 3.62 3.33 -0.096
C 0.00 1.75 -1.01 -0.183
C -7.54 1.95 0.11 -0.082
C 5.62 6.20 -1.10 -0.089
C -2.19 -8.73 -0.19 -0.112
C 1.02 -5.55 -0.13 -0.249
C 5.96 5.90 1.64 -0.096
C 4.98 -6.51 -5.97 -0.092
C 0.45 0.80 1.21 -0.175
C 10.84 9.26 -4.47 -0.094
C -3.07 -8.63 0.88 -0.095
C 6.83 6.52 -0.51 -0.086
C 4.57 5.73 -0.31 -0.127
C -3.16 3.06 6.31 -0.099
C 3.96 4.70 -7.34 -0.090
C 10.38 7.27 -3.20 -0.100
C -11.51 1.85 4.83 -0.094
C 3.66 4.47 -4.96 -0.117
C 4.68 -7.49 -6.90 -0.092
C 9.58 9.18 -5.05 -0.095
C 5.06 3.86 -7.28 -0.090
C -5.01 2.62 -0.81 -0.110
C 0.63 2.22 1.72 -0.181
C -6.00 -6.96 4.41 -0.108
C 7.01 6.37 0.86 -0.088
C -4.37 -8.21 0.67 -0.088
C -10.19 1.76 5.27 -0.096
C -1.83 2.08 2.27 0.000
C 9.11 7.20 -3.77 -0.111
C 0.96 -1.74 -2.71 -0.118
C -9.22 2.60 4.74 -0.099
C -6.73 2.80 0.86 -0.086
C 5.46 3.32 -6.06 -0.094
C -8.28 -7.69 4.53 -0.093
C -4.59 4.54 5.07 -0.095
C -3.93 -8.01 -1.69 -0.095
C 11.24 8.30 -3.55 -0.095
C 3.45 -7.48 -7.55 -0.093
C -5.88 -7.09 5.79 -0.099
C 3.26 5.01 -6.18 -0.091
C 8.72 8.16 -4.70 -0.096
C 4.76 3.63 -4.91 -0.105
C 0.63 -2.70 2.65 -0.103
C 0.18 0.53 -0.10 -0.105
C -2.62 -8.41 -1.48 -0.101
C 4.92 -1.34 2.76 -0.123
C 4.06 -5.52 -5.68 -0.102
C 0.17 -1.79 0.32 -0.083
C -3.53 3.65 5.11 -0.098
C -11.85 2.78 3.86 -0.094
C -6.96 -7.53 6.53 -0.094
C 4.74 5.58 1.06 -0.102
C 0.45 -1.57 1.66 -0.149
C -4.91 4.25 7.44 -0.089
C -8.16 -7.82 5.91 -0.092
C -9.57 3.54 3.78 -0.109
C 5.30 0.13 2.46 -0.077
C -4.81 -7.90 -0.62 -0.088
C -5.82 1.77 -1.55 -0.101
C 1.37 2.26 -1.58 -0.643
C -7.09 1.44 -1.09 -0.090
C 2.04 -2.77 3.27 -0.170
C -5.28 4.84 6.24 -0.092
H -2.73 -8.88 1.88 0.103
H 0.39 -3.69 2.27 0.099
H -8.81 4.20 3.37 0.090
H 0.24 1.29 4.03 -0.083
H 1.38 2.69 -3.75 0.044
H -9.22 -7.92 4.04 0.102
H 2.03 -3.80 0.58 0.112
H 2.06 -3.66 3.91 0.143
H 2.19 2.02 -0.91 0.085
H 9.27 9.93 -5.77 0.101
H 2.69 1.69 -3.19 0.078
H 3.64 5.12 -8.28 0.103
H -4.84 3.80 0.98 0.093
H 5.72 -2.05 2.51 0.133
H -5.46 1.36 -2.49 0.097
H 10.69 6.52 -2.48 0.100
H -3.57 2.89 8.41 0.102
H 2.44 -0.67 -1.40 0.110
H -0.08 -2.53 3.49 0.131
H -0.55 -3.36 -1.04 0.114
H 6.10 5.78 2.71 0.100
H -11.15 4.35 2.57 0.101
H 4.29 -4.75 -4.95 0.078
H -5.45 4.49 8.35 0.104
H -0.19 -6.60 0.92 0.083
H 3.21 -8.24 -8.27 0.103
H 1.47 2.26 2.43 0.104
H 5.48 6.31 -2.17 0.099
H 2.29 -1.92 3.93 0.071
H 4.66 -1.49 3.82 0.120
H -6.11 5.54 6.21 0.104
H 2.10 -4.73 -6.09 0.094
H 0.85 -2.82 -2.65 0.095
H 2.73 -0.56 -3.13 0.114
H -7.29 -7.15 2.71 0.094
H -4.27 -7.77 -2.69 0.102
H 5.40 -8.27 -7.13 0.103
H 7.96 6.62 1.31 0.103
H 5.07 3.20 -3.96 0.098
H -1.97 1.21 2.92 0.075
H -2.68 2.36 1.63 0.062
H 3.12 4.71 -4.06 0.040
H -0.72 1.59 -1.82 0.119
H 1.08 0.95 -3.32 0.053
H 3.93 5.22 1.67 0.093
H 0.80 -1.48 -3.77 0.126
H -5.83 -7.58 -0.78 0.103
H 5.45 0.21 1.38 0.080
H 1.56 -6.47 -7.76 0.100
H 1.78 -3.87 -1.16 0.082
H 7.73 8.10 -5.15 0.100
H -1.08 -1.72 -2.00 0.133
H -12.87 2.85 3.52 0.102
H 0.93 2.88 0.90 0.056
H 6.19 0.39 3.03 0.081
H 3.62 5.48 -0.77 -0.041
H 8.44 6.40 -3.50 0.091
H -7.72 0.78 -1.67 0.103
H -2.98 3.42 4.20 0.064
H -0.66 3.85 2.63 0.116
H 5.95 -6.51 -5.48 0.102
H 6.32 2.66 -6.02 0.102
H -7.09 3.20 1.80 0.087
H -9.92 1.03 6.02 0.101
H -6.87 -7.64 7.61 0.102
H -4.94 -6.86 6.27 0.099
H -4.88 5.00 4.14 0.098
H 1.97 -6.03 -0.41 0.126
H -8.53 1.70 0.47 0.106
H -12.26 1.20 5.25 0.102
N 0.05 -0.75 -0.54 0.071
C -0.67 2.81 2.26 -0.137
C -0.22 -1.04 -1.95 -0.082
C 2.52 -6.48 -7.26 -0.098
C -3.86 3.36 7.47 -0.093
C -0.01 -3.23 -0.10 -0.086
C 2.82 -5.51 -6.32 -0.101
C 3.67 -1.72 1.96 -0.440
C 3.43 -2.34 -2.26 -0.479
C 1.29 -4.04 -0.19 -0.139
C 2.38 -1.24 -2.34 -0.075
C -5.47 3.14 0.39 -0.107
C 0.58 -0.26 2.12 -0.415
C -7.20 -7.26 3.78 -0.105
C 1.61 1.87 -3.06 -0.154
C -10.88 3.62 3.33 -0.096
C 0.00 1.75 -1.01 -0.183
C -7.54 1.95 0.11 -0.082
C 5.62 6.20 -1.10 -0.089
C -2.19 -8.73 -0.19 -0.112
C 1.02 -5.55 -0.13 -0.249
C 5.96 5.90 1.64 -0.096
C 4.98 -6.51 -5.97 -0.092
C 0.45 0.80 1.21 -0.175
C 10.84 9.26 -4.47 -0.094
C -3.07 -8.63 0.88 -0.095
C 6.83 6.52 -0.51 -0.086
C 4.57 5.73 -0.31 -0.127
C -3.16 3.06 6.31 -0.099
C 3.96 4.70 -7.34 -0.090
C 10.38 7.27 -3.20 -0.100
C -11.51 1.85 4.83 -0.094
C 3.66 4.47 -4.96 -0.117
C 4.68 -7.49 -6.90 -0.092
C 9.58 9.18 -5.05 -0.095
C 5.06 3.86 -7.28 -0.090
C -5.01 2.62 -0.81 -0.110
C 0.63 2.22 1.72 -0.181
C -6.00 -6.96 4.41 -0.108
C 7.01 6.37 0.86 -0.088
C -4.37 -8.21 0.67 -0.088
C -10.19 1.76 5.27 -0.096
C -1.83 2.08 2.27 0.000
C 9.11 7.20 -3.77 -0.111
C 0.96 -1.74 -2.71 -0.118
C -9.22 2.60 4.74 -0.099
C -6.73 2.80 0.86 -0.086
C 5.46 3.32 -6.06 -0.094
C -8.28 -7.69 4.53 -0.093
C -4.59 4.54 5.07 -0.095
C -3.93 -8.01 -1.69 -0.095
C 11.24 8.30 -3.55 -0.095
C 3.45 -7.48 -7.55 -0.093
C -5.88 -7.09 5.79 -0.099
C 3.26 5.01 -6.18 -0.091
C 8.72 8.16 -4.70 -0.096
C 4.76 3.63 -4.91 -0.105
C 0.63 -2.70 2.65 -0.103
C 0.18 0.53 -0.10 -0.105
C -2.62 -8.41 -1.48 -0.101
C 4.92 -1.34 2.76 -0.123
C 4.06 -5.52 -5.68 -0.102
C 0.17 -1.79 0.32 -0.083
C -3.53 3.65 5.11 -0.098
C -11.85 2.78 3.86 -0.094
C -6.96 -7.53 6.53 -0.094
C 4.74 5.58 1.06 -0.102
C 0.45 -1.57 1.66 -0.149
C -4.91 4.25 7.44 -0.089
C -8.16 -7.82 5.91 -0.092
C -9.57 3.54 3.78 -0.109
C 5.30 0.13 2.46 -0.077
C -4.81 -7.90 -0.62 -0.088
C -5.82 1.77 -1.55 -0.101
C 1.37 2.26 -1.58 -0.643
C -7.09 1.44 -1.09 -0.090
C 2.04 -2.77 3.27 -0.170
C -5.28 4.84 6.24 -0.092
H -2.73 -8.88 1.88 0.103
H 0.39 -3.69 2.27 0.099
H -8.81 4.20 3.37 0.090
H 0.24 1.29 4.03 -0.083
H 1.38 2.69 -3.75 0.044
H -9.22 -7.92 4.04 0.102
H 2.03 -3.80 0.58 0.112
H 2.06 -3.66 3.91 0.143
H 2.19 2.02 -0.91 0.085
H 9.27 9.93 -5.77 0.101
H 2.69 1.69 -3.19 0.078
H 3.64 5.12 -8.28 0.103
H -4.84 3.80 0.98 0.093
H 5.72 -2.05 2.51 0.133
H -5.46 1.36 -2.49 0.097
H 10.69 6.52 -2.48 0.100
H -3.57 2.89 8.41 0.102
H 2.44 -0.67 -1.40 0.110
H -0.08 -2.53 3.49 0.131
H -0.55 -3.36 -1.04 0.114
H 6.10 5.78 2.71 0.100
H -11.15 4.35 2.57 0.101
H 4.29 -4.75 -4.95 0.078
H -5.45 4.49 8.35 0.104
H -0.19 -6.60 0.92 0.083
H 3.21 -8.24 -8.27 0.103
H 1.47 2.26 2.43 0.104
H 5.48 6.31 -2.17 0.099
H 2.29 -1.92 3.93 0.071
H 4.66 -1.49 3.82 0.120
H -6.11 5.54 6.21 0.104
H 2.10 -4.73 -6.09 0.094
H 0.85 -2.82 -2.65 0.095
H 2.73 -0.56 -3.13 0.114
H -7.29 -7.15 2.71 0.094
H -4.27 -7.77 -2.69 0.102
H 5.40 -8.27 -7.13 0.103
H 7.96 6.62 1.31 0.103
H 5.07 3.20 -3.96 0.098
H -1.97 1.21 2.92 0.075
H -2.68 2.36 1.63 0.062
H 3.12 4.71 -4.06 0.040
H -0.72 1.59 -1.82 0.119
H 1.08 0.95 -3.32 0.053
H 3.93 5.22 1.67 0.093
H 0.80 -1.48 -3.77 0.126
H -5.83 -7.58 -0.78 0.103
H 5.45 0.21 1.38 0.080
H 1.56 -6.47 -7.76 0.100
H 1.78 -3.87 -1.16 0.082
H 7.73 8.10 -5.15 0.100
H -1.08 -1.72 -2.00 0.133
H -12.87 2.85 3.52 0.102
H 0.93 2.88 0.90 0.056
H 6.19 0.39 3.03 0.081
H 3.62 5.48 -0.77 -0.041
H 8.44 6.40 -3.50 0.091
H -7.72 0.78 -1.67 0.103
H -2.98 3.42 4.20 0.064
H -0.66 3.85 2.63 0.116
H 5.95 -6.51 -5.48 0.102
H 6.32 2.66 -6.02 0.102
H -7.09 3.20 1.80 0.087
H -9.92 1.03 6.02 0.101
H -6.87 -7.64 7.61 0.102
H -4.94 -6.86 6.27 0.099
H -4.88 5.00 4.14 0.098
H 1.97 -6.03 -0.41 0.126
H -8.53 1.70 0.47 0.106
H -12.26 1.20 5.25 0.102